Countryside Alliance News

These materials data were left in the entry by mistake:
┌──
(1)
Structure and simulated powder diffractogram of SbN (a crystal structure in the Materials Project, relaxed with GGA-PBE; Cu Kα, 1.54184 Å).

Crystal structure
Cell lengths 3.322, 3.910, 5.992 Å; angles 91.31, 91.55, 90.22 degrees
Sites, in units of the cell vectors:
Sb1 0.000 0.000 0.000
Sb2 0.480 0.484 0.586
N1 0.495 0.685 0.917
N2 0.983 0.175 0.670

Most intense lines, 10° ≤ 2θ ≤ 90°, sorted by position:
- 2θ 14.79, 5.988 Å, I 64
- 2θ 26.95, 3.308 Å, I 100
- 2θ 27.53, 3.239 Å, I 100
- 2θ 29.84, 2.994 Å, I 66
- 2θ 30.42, 2.938 Å, I 65
- 2θ 31.15, 2.871 Å, I 65
- 2θ 35.39, 2.537 Å, I 63
- 2θ 35.55, 2.526 Å, I 62
- 2θ 46.46, 1.955 Å, I 23
- 2θ 56.80, 1.621 Å, I 27


(2)
Structure and simulated powder diffractogram of MgSi (a crystal structure in the Materials Project, relaxed with GGA-PBE; Cu Kα, 1.54184 Å).

Crystal structure
Cell lengths 4.952, 5.628, 9.051 Å; angles 95.17, 97.76, 105.16 degrees
Sites, in units of the cell vectors:
Mg1 0.000 0.000 0.000
Mg2 0.040 0.726 0.435
Mg3 0.183 0.547 0.018
Mg4 0.249 0.260 0.714
Mg5 0.386 0.360 0.343
Mg6 0.636 0.873 0.647
Si1 0.126 0.740 0.751
Si2 0.531 0.993 0.168
Si3 0.607 0.279 0.984
Si4 0.734 0.646 0.166
Si5 0.744 0.390 0.613
Si6 0.854 0.143 0.408

Most intense lines, 10° ≤ 2θ ≤ 90°, sorted by position:
- 2θ 19.81, 4.482 Å, I 53
- 2θ 29.81, 2.997 Å, I 64
- 2θ 30.16, 2.963 Å, I 50
- 2θ 31.66, 2.826 Å, I 100
- 2θ 33.47, 2.678 Å, I 64
- 2θ 35.33, 2.540 Å, I 91
- 2θ 39.66, 2.272 Å, I 54
- 2θ 41.98, 2.152 Å, I 37
- 2θ 44.75, 2.025 Å, I 68
- 2θ 46.12, 1.968 Å, I 47


(3)
Structure and simulated powder diffractogram of Sr3GeO5 (a crystal structure in the Materials Project, relaxed with GGA-PBE; Cu Kα, 1.54184 Å).

Crystal structure
Cell lengths 6.963, 6.963, 11.342 Å; angles 90.00, 90.00, 90.00 degrees
Sites, in units of the cell vectors:
Sr1 0.068 0.568 0.250
Sr2 0.068 0.932 0.750
Sr3 0.250 0.250 0.007
Sr4 0.250 0.250 0.507
Sr5 0.432 0.568 0.750
Sr6 0.432 0.932 0.250
Sr7 0.568 0.068 0.750
Sr8 0.568 0.432 0.250
Sr9 0.750 0.750 0.493
Sr10 0.750 0.750 0.993
Sr11 0.932 0.068 0.250
Sr12 0.932 0.432 0.750
Ge1 0.250 0.750 0.000
Ge2 0.250 0.750 0.500
Ge3 0.750 0.250 0.000
Ge4 0.750 0.250 0.500
O1 0.109 0.610 0.903
O2 0.109 0.890 0.403
O3 0.110 0.609 0.597
O4 0.110 0.891 0.097
O5 0.250 0.250 0.244
O6 0.250 0.250 0.744
O7 0.390 0.609 0.097
O8 0.390 0.891 0.597
O9 0.391 0.610 0.403
O10 0.391 0.890 0.903
O11 0.609 0.110 0.097
O12 0.609 0.390 0.597
O13 0.610 0.109 0.403
O14 0.610 0.391 0.903
O15 0.750 0.750 0.256
O16 0.750 0.750 0.756
O17 0.890 0.109 0.903
O18 0.890 0.391 0.403
O19 0.891 0.110 0.597
O20 0.891 0.390 0.097

Most intense lines, 10° ≤ 2θ ≤ 90°, sorted by position:
- 2θ 29.75, 3.003 Å, I 26
- 2θ 30.12, 2.967 Å, I 100
- 2θ 31.55, 2.835 Å, I 31
- 2θ 36.50, 2.462 Å, I 30
- 2θ 37.42, 2.403 Å, I 48
- 2θ 41.01, 2.201 Å, I 15
- 2θ 49.00, 1.859 Å, I 24
- 2θ 54.98, 1.670 Å, I 12
- 2θ 55.30, 1.661 Å, I 20
- 2θ 60.00, 1.542 Å, I 13


(4)
└──

Gundog Theft Awareness Week 2022

== Materials data, as found in the file ==
/*
For CaNiSbP2O9, a PBE+U-relaxed structure gives the theoretical powder XRD pattern in this record (Cu Kα (weighted mean of Kα1 and Kα2)).

The 10 most intense peaks (2θ = 10–90°), sorted by position:
2θ = 17.0°, d = 5.219 Å, I = 70, (2 0 1); 2θ = 17.9°, d = 4.952 Å, I = 62, (0 1 1); 2θ = 24.8°, d = 3.592 Å, I = 100, (1 0 2); 2θ = 26.7°, d = 3.339 Å, I = 47, (0 2 0); 2θ = 30.0°, d = 2.981 Å, I = 51, (1 2 1); 2θ = 30.3°, d = 2.953 Å, I = 33, (4 1 1); 2θ = 31.8°, d = 2.813 Å, I = 28, (2 2 1); 2θ = 32.8°, d = 2.733 Å, I = 37, (5 0 1); 2θ = 38.4°, d = 2.347 Å, I = 28, (4 2 1); 2θ = 55.9°, d = 1.646 Å, I = 36, (5 2 3)

Structure:
Cell: 14.703 6.679 7.409 Å, 90.00 90.00 90.00°
Space group Pnma (No. 62)
Asymmetric unit:
Ca (0.207, 0.250, 0.102) (multiplicity 4)
Ni (0.000, 0.000, 0.000) (multiplicity 4)
Sb (0.119, 0.250, 0.645) (multiplicity 4)
P (0.074, 0.750, 0.642) (multiplicity 4)
P (0.184, 0.750, 0.111) (multiplicity 4)
O (0.015, 0.750, 0.471) (multiplicity 4)
O (0.019, 0.750, 0.818) (multiplicity 4)
O (0.066, 0.250, 0.886) (multiplicity 4)
O (0.127, 0.556, 0.114) (multiplicity 8)
O (0.142, 0.569, 0.634) (multiplicity 8)
O (0.245, 0.250, 0.450) (multiplicity 4)
O (0.250, 0.250, 0.781) (multiplicity 4)

***

For MgMn2O4, a PBE+U-relaxed structure gives the theoretical powder XRD pattern in this record (Cu Kα (weighted mean of Kα1 and Kα2)).

The 10 most intense peaks (2θ = 10–90°), sorted by position:
2θ = 17.9°, d = 4.960 Å, I = 54, (2 0 1); 2θ = 18.0°, d = 4.934 Å, I = 67, (0 0 3); 2θ = 33.2°, d = 2.701 Å, I = 45, (4 0 -1); 2θ = 33.3°, d = 2.690 Å, I = 50, (3 1 -3); 2θ = 35.3°, d = 2.542 Å, I = 100, (2 2 1); 2θ = 35.4°, d = 2.534 Å, I = 81, (1 1 5); 2θ = 39.8°, d = 2.266 Å, I = 48, (4 0 -4); 2θ = 43.3°, d = 2.091 Å, I = 73, (2 2 4); 2θ = 60.0°, d = 1.542 Å, I = 56, (6 2 0); 2θ = 60.4°, d = 1.531 Å, I = 55, (2 2 -8)

Structure:
Cell: 10.871 5.909 14.841 Å, 90.00 94.12 90.00°
Space group Cm (No. 8)
Asymmetric unit:
Mg (0.000, 0.000, 0.000) (multiplicity 2)
Mg (0.004, 0.000, 0.758) (multiplicity 2)
Mg (0.011, 0.000, 0.380) (multiplicity 2)
Mg (0.166, 0.500, 0.046) (multiplicity 2)
Mg (0.176, 0.500, 0.671) (multiplicity 2)
Mg (0.343, 0.000, 0.333) (multiplicity 2)
Mn (0.002, 0.500, 0.881) (multiplicity 2)
Mn (0.088, 0.248, 0.214) (multiplicity 4)
Mn (0.176, 0.000, 0.549) (multiplicity 2)
Mn (0.176, 0.500, 0.428) (multiplicity 2)
Mn (0.249, 0.252, 0.882) (multiplicity 4)
Mn (0.335, 0.000, 0.094) (multiplicity 2)
Mn (0.339, 0.500, 0.215) (multiplicity 2)
Mn (0.340, 0.000, 0.715) (multiplicity 2)
Mn (0.428, 0.248, 0.546) (multiplicity 4)
O (0.012, 0.000, 0.138) (multiplicity 2)
O (0.022, 0.500, 0.139) (multiplicity 2)
O (0.084, 0.271, 0.957) (multiplicity 4)
O (0.091, 0.227, 0.471) (multiplicity 4)
O (0.158, 0.000, 0.291) (multiplicity 2)
O (0.163, 0.500, 0.290) (multiplicity 2)
O (0.178, 0.500, 0.806) (multiplicity 2)
O (0.182, 0.000, 0.804) (multiplicity 2)
O (0.238, 0.267, 0.144) (multiplicity 4)
O (0.264, 0.227, 0.628) (multiplicity 4)
*/

Written by Countryside Alliance | 1 November 2022

Gundog Theft Awareness Week, which runs from Monday 31st October 2022 to Monday 7th November 2022, aims to raise awareness of gundog theft and its prevention.

Dog theft, especially of working dogs, continues to be a huge problem in rural areas. With the increase in popularity of fieldsports comes the increase in demand for trained dogs and thieves see valuable gun dogs as a saleable commodity.

DogLost has previously stated that almost 50% of its missing dog reports actually relate to working dogs. The most commonly stolen gundogs are cocker and springer spaniels and labradors.

What can you do to protect your dog?

When you are out and about

  • Never leave your dog unattended.
  • If you are in the pub or in a public area don't boast about your dog. You never know who is listening...
  • If you have to keep your dog in the car for any period of time, ensure the car is locked.
  • Use tinted windows to obscure the view through the rear windows of your vehcile to protect your dogs if they're left in the car whilst you're working.

Review your security at home

  • If your dog lives indoors, take the usual principles to ensure safety.
  • If kennelled, build your kennel as close to your home as possible.
  • Use alarmed padlocks or passive infrared sensors that send text messages to your mobile phone if tampered with.
  • Install remote access CCTV, which allows you to regularly check on your dogs from your mobile phone, and security lighting on all outbuildings and kennels.
  • Never leave ladders or tools around that can be used by thieves to gain entry.
  • Sign up to local and regional neighbourhood watch programmes so you are aware of other local thefts in the area. Make sure to note down the registration numbers of any suspicious looking vehicles.

If you're having a litter of puppies

  • Be extra vigilant.
  • Don't put signs by the roadside to indicate you have puppies for sale.
  • If potential buyers come to see your puppies make sure you have someone with you and show them the puppies one by one.

If your dog is stolen

____________
(1)
For Mg2GaMo3S8, a structure optimized by DFT (GGA-PBE) gives the computed powder diffractogram in this record (Cu Kα (λ = 1.5418 Å)).

Main lines, by angle (15 to 90 degrees two-theta):
two_theta  d [Å]  Rel. int.  h k l
28.21  3.163  92.2  0 2 1
34.18  2.623  100.0  0 2 4
44.84  2.021  15.6  0 2 7
44.90  2.019  32.7  0 3 3
49.06  1.857  45.4  2 0 8
49.18  1.853  45.0  2 2 0
61.25  1.513  15.5  4 0 4
72.00  1.312  13.1  0 4 8
82.08  1.174  12.9  2 2 12
82.26  1.172  12.8  2 4 4

Structure:
```
data_Mg2GaMo3S8
_symmetry_space_group_name_H-M 'R -3 m'
_symmetry_Int_Tables_number 166
_symmetry_space_group_name_Hall '-R 3 2"'
_cell_length_a 7.4106
_cell_length_b 7.4106
_cell_length_c 18.2159
_cell_angle_alpha 90.00
_cell_angle_beta 90.00
_cell_angle_gamma 120.00
loop_
_atom_site_label
_atom_site_type_symbol
_atom_site_fract_x
_atom_site_fract_y
_atom_site_fract_z
Mg1 Mg 0.0000 0.0000 0.1232
Ga1 Ga 0.0000 0.0000 0.5000
Mo1 Mo 0.0000 0.5000 0.0000
S1 S 0.0000 0.0000 0.2602
S2 S 0.0301 0.5151 0.2544
```

(2)
For HfCo4Ge2, a structure optimized by DFT (GGA-PBE) gives the computed powder diffractogram in this record (Cu Kα (λ = 1.5418 Å)).

Main lines, by angle (15 to 90 degrees two-theta):
two_theta  d [Å]  Rel. int.  h k l
27.11  3.290  20.4  1 0 1
36.07  2.490  28.0  2 2 0
37.41  2.404  100.0  2 1 1
40.50  2.227  38.7  3 1 0
43.74  2.070  24.1  2 2 1
47.58  1.911  40.2  3 1 1
48.97  1.860  26.1  0 0 2
59.55  1.553  14.3  4 1 1
65.36  1.428  18.2  3 1 2
71.63  1.317  20.0  4 3 1

Structure:
```
data_HfCo4Ge2
_symmetry_space_group_name_H-M 'P 42/m n m'
_symmetry_Int_Tables_number 136
_symmetry_space_group_name_Hall '-P 4n 2n'
_cell_length_a 7.044
_cell_length_b 7.044
_cell_length_c 3.720
_cell_angle_alpha 90.00
_cell_angle_beta 90.00
_cell_angle_gamma 90.00
loop_
_atom_site_label
_atom_site_type_symbol
_atom_site_fract_x
_atom_site_fract_y
_atom_site_fract_z
Hf1 Hf 0.000 0.000 0.000
Co1 Co 0.087 0.352 0.500
Ge1 Ge 0.218 0.782 0.500
```
____________

  • All dogs must now, by law, be microchipped, so ensure your details are up to date, report it to Petlog and register the dog's microchip as missing so it will show up when scanned.
  • Swift action is a necessity – make sure you call 999 and get a crime reference number. Also contact your Local Council, Dogwarden and RSPCA to alert them should the dog be handed in.
  • Talk to neighbours and check with your local community – postal workers, milk men, shop keepers etc.
  • Take photos of your dogs from several angles and keep them with your dogs' documents, making sure to document any specific markings or features.
  • Use social media to spread the word and let people know what has happened, this can make the dog 'too hot to handle', increasing the chance of it being returned to you. Forums and Facebook groups are good places to post messages, but be aware of hoaxers claiming to know where your dog is if you provide money.
  • Keep the police up to date and always allow them to follow up any potential leads.

What is the Countryside Alliance doing?

Pet theft is driven by organised crime and is seen as a low-risk, high-reward offence. In recent years only one per cent of dog theft crimes have led to a prosecution. Under the Theft Act 1968, pets are classed as property, making a stolen Labrador equal to a stolen laptop.

The Countryside Alliance has worked with organisations such as PetTheft UK, campaigning for a change in the law to make pet theft a specific offence, giving courts access to appropriate custodial sentences to act as a deterrent, provide punishment and protect the public.

In September 2021, it was announced that under new government plans aiming to crack down on the increasing number of reported pet thefts, a new criminal offence for pet abduction would be introduced. This new offence comes as a recommendation from the Government's Pet Theft Taskforce which launched in May 2021.